Iran's state media say an Iranian nuclear scientist has taken refuge in Pakistan's embassy in Washington and is seeking an immediate return to his homeland.
The latest twist in scientist Shahram Amiri's case follows conflicting accounts, reportedly by the scientist himself, that he had been kidnapped and tortured by the U.S. Central Intelligence Agency or that he was in the United States for academic studies.
Iran says Amiri was captured and handed over to U.S. intelligence agents while he was visiting Saudi Arabia. Washington denies the charge.
U.S. State Department spokesman P.J. Crowley said Tuesday that Amiri has been in the United States "on his own free will" and was free to go. Crowley said Amiri traveled to the Iranian interests section of the Pakistani embassy on his own and was in the process of making travel arrangements to return to Iran.
Amiri had been working for Iran's Atomic Energy Organization, which the United States and other countries suspect is trying to develop nuclear weapons - a charge Tehran denies.
A series of video messages have only added confusion to the case. The latest, aired on Iranian television last month, showed a man identified as Amiri saying he had escaped from American intelligence forces, was in hiding and feared for his life.
The message followed two others, also purportedly by Amiri, earlier in the month.
In the first, a man says he had been kidnapped during a joint Saudi-American operation last year.
The next day, another video surfaced, with the speaker saying he was studying medical-related physics in the United States and had no role in nuclear weapons research.
== The page is interrupted by calculated crystals ==
# 1
CaIn2Cu after structural relaxation, computed with meta-GGA r2SCAN.

POSCAR file:
```
CaIn2Cu
1.0
4.441 0.000 0.000
0.000 7.402 0.000
-2.208 0.000 5.387
Ca In Cu
2 4 2
direct
0.068 0.250 0.135
0.932 0.750 0.865
0.356 0.051 0.712
0.356 0.449 0.712
0.644 0.551 0.288
0.644 0.949 0.288
0.214 0.750 0.429
0.786 0.250 0.571
```

As for the calculated total energy: -16.165 eV/atom. The magnetic moment is 0.00 μB/atom. Its space-group type is No. 11.



# 2
CaIn6Cu6 after structural relaxation, computed with meta-GGA r2SCAN.

POSCAR file:
```
CaIn6Cu6
1.0
-2.680 4.597 4.637
2.680 -4.597 4.637
2.680 4.597 -4.637
Ca In Cu
1 6 6
direct
0.000 0.000 0.000
0.183 0.683 0.500
0.337 0.000 0.337
0.342 0.342 0.000
0.658 0.658 0.000
0.663 0.000 0.663
0.817 0.317 0.500
0.000 0.000 0.500
0.000 0.500 0.000
0.238 0.500 0.738
0.500 0.000 0.000
0.500 0.500 0.500
0.762 0.500 0.262
```

As for the calculated total energy: -16.120 eV/atom. The magnetic moment is 0.00 μB/atom. Its space-group type is No. 71.

~~~~~

# 1
An optimized crystal structure of ZnH20PdC4N4O12. Source: the Materials Project, functional PBE-GGA.

Results
**Calculated density**: 1.9 Mg/m³
**DFT formation energy**: -43.56 eV/f.u.
**Corrected total energy (MP2020 scheme)**: -247.49 eV for the cell shown

a = 7.2957 Å, b = 7.6176 Å, c = 9.2078 Å
α = 114.43°, β = 113.34°, γ = 90.00°
With the nearest neighbours (Å) after each atom.
Fractional coordinates of all 42 atoms:
1 Zn 0.0000 0.5000 0.0000  6 O 2.11-2.15
2 H 0.7094 0.3642 0.1790  1 N 1.03
3 H 0.4696 0.8148 0.1790  1 N 1.03
4 H 0.5304 0.6358 0.8210  1 N 1.03
5 H 0.2906 0.1852 0.8210  1 N 1.03
6 H 0.6650 0.2980 0.3139  1 N 1.03
7 H 0.6490 0.0160 0.3139  1 N 1.03
8 H 0.3510 0.7020 0.6861  1 N 1.03
9 H 0.3350 0.9840 0.6861  1 N 1.03
10 H 0.4851 0.3691 0.1830  1 N 1.03
11 H 0.6980 0.8140 0.1830  1 N 1.03
12 H 0.3020 0.6309 0.8170  1 N 1.03
13 H 0.5149 0.1860 0.8170  1 N 1.03
14 H 0.9449 0.0901 0.8922  1 O 0.99
15 H 0.9473 0.8021 0.8922  1 O 0.99
16 H 0.0527 0.9099 0.1078  1 O 0.99
17 H 0.0551 0.1979 0.1078  1 O 0.99
18 H 0.7027 0.8116 0.6222  1 O 1.00
19 H 0.9195 0.8106 0.6222  1 O 1.00
20 H 0.0805 0.1884 0.3778  1 O 1.00
21 H 0.2973 0.1894 0.3778  1 O 1.00
22 Pd 0.5000 0.0000 0.0000  4 N 2.07
23 C 0.7101 0.3171 0.6361  2 O 1.25-1.28
24 C 0.9260 0.3191 0.6361  2 O 1.25-1.28
25 C 0.0740 0.6829 0.3639  2 O 1.25-1.28
26 C 0.2899 0.6809 0.3639  2 O 1.25-1.28
27 N 0.6004 0.2911 0.1895  3 H 1.03
28 N 0.5891 0.8984 0.1895  3 H 1.03
29 N 0.4109 0.7089 0.8105  3 H 1.03
30 N 0.3996 0.1016 0.8105  3 H 1.03
31 O 0.7064 0.3912 0.7876  1 C 1.28
32 O 0.0812 0.3964 0.7876  1 C 1.28
33 O 0.9188 0.6088 0.2124  1 C 1.28
34 O 0.2936 0.6036 0.2124  1 C 1.28
35 O 0.5590 0.2433 0.4878  1 C 1.25
36 O 0.9288 0.2445 0.4878  1 C 1.25
37 O 0.0712 0.7567 0.5122  1 C 1.25
38 O 0.4410 0.7555 0.5122  1 C 1.25
39 O 0.0000 0.2184 0.0000  2 H 0.99
40 O 0.0000 0.7816 0.0000  2 H 0.99
41 O 0.8512 0.8512 0.7024  2 H 1.00
42 O 0.1488 0.1488 0.2976  2 H 1.00

***

# 2
An American news network reported that Amiri had made the second video because he had defected to the United States to help it in its case against Iran and its nuclear program. ABC television says the Iranian government threatened the scientist's relatives, if he failed to return.
Paul Ingram is the executive director of the British American Information Security Council in London. He says those following the case will draw their own conclusions based on their existing allegiances.
"Each story has within it its own sense of consistency," Ingram said. "However, it has to be said, if it is true that he has turned up at the Pakistani embassy within Washington and is now wanting to be repatriated to Iran, that on balance it would seem, the balance of probabilities and that is how far I would be able to go, the balance of probabilities seem to have shifted towards Iran's side of the story."
Because Iran and the United States have no diplomatic ties, Pakistan's embassy in Washington hosts an Iranian interests section. A Pakistani Foreign Ministry official said Iranian officials at the interest section in Washington informed him they are working to repatriate Amiri.
Ingram adds that if this turns out to be a case of extraordinary rendition - the U.S. policy of capturing wanted people overseas - it would seem to be the first suggestion that the policy covered such people as scientists.
Iran: Missing Scientist Takes Refuge in Pakistan Embassy in US